**Input:**
=====
(1)
# Tb5DyTm4

Crystalline Tb5DyTm4 at its relaxed geometry (PBE, the Alexandria database).

Calculated values
Symmetry: I4
ΔE_f, eV/atom: 0.310
DFT total energy, eV/cell: -42.5
Fermi-level density of states, states/eV/f.u.: 14.479

Structure (POSCAR):
```
Tb5DyTm4
1.0
-0.9459 -0.1793 -6.1916
6.0803 -2.7529 -4.0198
-3.0781 -6.7046 -2.5062
Tb Tm Dy
5 4 1
Direct
0.8062 0.3784 0.9117
0.1845 0.9117 0.6216
0.0962 0.6216 0.0883
0.7179 0.0883 0.3784
0.6799 0.0000 0.0000
0.1044 0.2978 0.3952
0.4021 0.3952 0.7022
0.7973 0.7022 0.6048
0.4996 0.6048 0.2978
0.2222 0.0000 0.0000
```


(2)
# AcSn2Pt5Au

Crystalline AcSn2Pt5Au at its relaxed geometry (PBE, the Alexandria database).

Calculated values
Symmetry: P4/mmm
ΔE_f, eV/atom: -0.354
DFT total energy, eV/cell: -48.8
Fermi-level density of states, states/eV/f.u.: 3.982

Structure (POSCAR):
```
AcSn2Pt5Au
1.0
4.2147 0.0000 0.0000
0.0000 4.2147 0.0000
0.0000 0.0000 10.5779
Sn Pt Ac Au
2 5 1 1
Direct
0.5000 0.5000 0.1312
0.5000 0.5000 0.8688
0.5000 0.0000 0.2875
0.5000 0.0000 0.7125
0.0000 0.5000 0.2875
0.5000 0.5000 0.5000
0.0000 0.5000 0.7125
0.0000 0.0000 0.5000
0.0000 0.0000 0.0000
```


(3)
# Co3AuS

Crystalline Co3AuS at its relaxed geometry (PBE, the Alexandria database).

Calculated values
Symmetry: Pm-3m
Energy relative to the elements, uncorrected, kJ per mole of atoms: 19.75
DFT total energy, eV/cell: -27.7
Fermi-level density of states, states/eV/f.u.: 10.931

Structure (POSCAR):
```
Co3AuS
1.0
-1.0064 3.0423 -2.6103
-1.1796 -2.7969 -2.8050
-3.8312 0.0620 1.5493
Au Co S
1 3 1
Direct
0.5000 0.5000 0.5000
0.5000 0.0000 0.0000
0.0000 0.5000 0.0000
0.0000 0.0000 0.5000
0.0000 0.0000 0.0000
```


(4)
# OsRu2S

Crystalline OsRu2S at its relaxed geometry (PBE, the Alexandria database).

Calculated values
Symmetry: Cm
Energy relative to the elements, uncorrected, kJ per mole of atoms: 39.90
DFT total energy, eV/cell: -64.5
Fermi-level density of states, states/eV/f.u.: 3.543

Structure (POSCAR):
```
OsRu2S
1.0
6.3758 0.0000 0.0054
0.0000 2.8480 0.0000
-4.4763 0.0000 6.5636
Ru S Os
4 2 2
Direct
0.6511 0.0000 0.6197
0.8684 0.5000 0.9484
0.6511 0.5000 0.1197
0.8684 0.0000 0.4484
0.2072 0.5000 0.9072
0.2072 0.0000 0.4072
0.3276 0.5000 0.6845
0.3276 0.0000 0.1845
```


(5)
# K2LaCu

Crystalline K2LaCu at its relaxed geometry (PBE, the Alexandria database).

Calculated values
Symmetry: I-42d
ΔE_f, eV/atom: 0.544
DFT total energy, eV/cell: -18.1
Fermi-level density of states, states/eV/f.u.: 4.921

Structure (POSCAR):
```
K2LaCu
1.0
11.7190 0.0000 0.0000
0.0000 11.7190 0.0000
5.8595 5.8595 2.7620
La K Cu
2 4 2
Direct
0.0000 0.0000 0.0000
0.7500 0.2500 0.5000
0.5051 0.1250 0.2500
0.3750 0.4949 0.7500
0.2449 0.6250 0.2500
0.8750 0.7551 0.7500
0.5000 0.5000 0.0000
0.2500 0.7500 0.5000
```


(6)
# Dy14YSc

Crystalline Dy14YSc at its relaxed geometry (PBE, the Alexandria database).

Calculated values
Symmetry: P4/mmm
ΔE_f, eV/atom: 0.023
DFT total energy, eV/cell: -76.8
Fermi-level density of states, states/eV/f.u.: 19.645

Structure (POSCAR):
```
Dy14YSc
1.0
6.9955 0.9386 0.0000
-0.9385 6.9955 0.0000
0.0000 0.0000 9.9602
Y Dy Sc
1 14 1
Direct
0.3751 0.6249 0.0000
0.6268 0.3732 0.7518
0.1232 0.3732 0.7519
0.1231 0.8769 0.2480
0.6268 0.3732 0.2482
0.8749 0.1251 0.5000
0.3748 0.1249 0.5000
0.6268 0.8768 0.7519
0.8750 0.6248 0.0000
0.8751 0.6252 0.5000
0.3752 0.1250 0.0000
0.6268 0.8768 0.2481
0.3750 0.6250 0.5000
0.1232 0.3732 0.2481
0.1231 0.8769 0.7520
0.8751 0.1249 0.0000
```


(7)
# TlGaPb

Crystalline TlGaPb at its relaxed geometry (PBE, the Alexandria database).

Calculated values
Symmetry: Fmmm
ΔE_f, eV/atom: 0.035
DFT total energy, eV/cell: -18.0
Fermi-level density of states, states/eV/f.u.: 1.261

Structure (POSCAR):
```
TlGaPb
1.0
-5.4464 1.2767 -2.2614
2.8532 -5.2629 -0.7537
-1.0652 0.0548 6.1016
Pb Tl Ga
2 2 2
Direct
0.1561 0.1561 0.3122
0.8439 0.8439 0.6878
0.3426 0.6574 0.0000
0.6574 0.3426 0.0000
0.2500 0.7500 0.5000
0.7500 0.2500 0.5000
```


(8)
# Ag2MoW
=====
**What to do:**
What is needed: echo everything further up character by character.
**Solution:**
(1)
# Tb5DyTm4

Crystalline Tb5DyTm4 at its relaxed geometry (PBE, the Alexandria database).

Calculated values
Symmetry: I4
ΔE_f, eV/atom: 0.310
DFT total energy, eV/cell: -42.5
Fermi-level density of states, states/eV/f.u.: 14.479

Structure (POSCAR):
```
Tb5DyTm4
1.0
-0.9459 -0.1793 -6.1916
6.0803 -2.7529 -4.0198
-3.0781 -6.7046 -2.5062
Tb Tm Dy
5 4 1
Direct
0.8062 0.3784 0.9117
0.1845 0.9117 0.6216
0.0962 0.6216 0.0883
0.7179 0.0883 0.3784
0.6799 0.0000 0.0000
0.1044 0.2978 0.3952
0.4021 0.3952 0.7022
0.7973 0.7022 0.6048
0.4996 0.6048 0.2978
0.2222 0.0000 0.0000
```


(2)
# AcSn2Pt5Au

Crystalline AcSn2Pt5Au at its relaxed geometry (PBE, the Alexandria database).

Calculated values
Symmetry: P4/mmm
ΔE_f, eV/atom: -0.354
DFT total energy, eV/cell: -48.8
Fermi-level density of states, states/eV/f.u.: 3.982

Structure (POSCAR):
```
AcSn2Pt5Au
1.0
4.2147 0.0000 0.0000
0.0000 4.2147 0.0000
0.0000 0.0000 10.5779
Sn Pt Ac Au
2 5 1 1
Direct
0.5000 0.5000 0.1312
0.5000 0.5000 0.8688
0.5000 0.0000 0.2875
0.5000 0.0000 0.7125
0.0000 0.5000 0.2875
0.5000 0.5000 0.5000
0.0000 0.5000 0.7125
0.0000 0.0000 0.5000
0.0000 0.0000 0.0000
```


(3)
# Co3AuS

Crystalline Co3AuS at its relaxed geometry (PBE, the Alexandria database).

Calculated values
Symmetry: Pm-3m
Energy relative to the elements, uncorrected, kJ per mole of atoms: 19.75
DFT total energy, eV/cell: -27.7
Fermi-level density of states, states/eV/f.u.: 10.931

Structure (POSCAR):
```
Co3AuS
1.0
-1.0064 3.0423 -2.6103
-1.1796 -2.7969 -2.8050
-3.8312 0.0620 1.5493
Au Co S
1 3 1
Direct
0.5000 0.5000 0.5000
0.5000 0.0000 0.0000
0.0000 0.5000 0.0000
0.0000 0.0000 0.5000
0.0000 0.0000 0.0000
```


(4)
# OsRu2S

Crystalline OsRu2S at its relaxed geometry (PBE, the Alexandria database).

Calculated values
Symmetry: Cm
Energy relative to the elements, uncorrected, kJ per mole of atoms: 39.90
DFT total energy, eV/cell: -64.5
Fermi-level density of states, states/eV/f.u.: 3.543

Structure (POSCAR):
```
OsRu2S
1.0
6.3758 0.0000 0.0054
0.0000 2.8480 0.0000
-4.4763 0.0000 6.5636
Ru S Os
4 2 2
Direct
0.6511 0.0000 0.6197
0.8684 0.5000 0.9484
0.6511 0.5000 0.1197
0.8684 0.0000 0.4484
0.2072 0.5000 0.9072
0.2072 0.0000 0.4072
0.3276 0.5000 0.6845
0.3276 0.0000 0.1845
```


(5)
# K2LaCu

Crystalline K2LaCu at its relaxed geometry (PBE, the Alexandria database).

Calculated values
Symmetry: I-42d
ΔE_f, eV/atom: 0.544
DFT total energy, eV/cell: -18.1
Fermi-level density of states, states/eV/f.u.: 4.921

Structure (POSCAR):
```
K2LaCu
1.0
11.7190 0.0000 0.0000
0.0000 11.7190 0.0000
5.8595 5.8595 2.7620
La K Cu
2 4 2
Direct
0.0000 0.0000 0.0000
0.7500 0.2500 0.5000
0.5051 0.1250 0.2500
0.3750 0.4949 0.7500
0.2449 0.6250 0.2500
0.8750 0.7551 0.7500
0.5000 0.5000 0.0000
0.2500 0.7500 0.5000
```


(6)
# Dy14YSc

Crystalline Dy14YSc at its relaxed geometry (PBE, the Alexandria database).

Calculated values
Symmetry: P4/mmm
ΔE_f, eV/atom: 0.023
DFT total energy, eV/cell: -76.8
Fermi-level density of states, states/eV/f.u.: 19.645

Structure (POSCAR):
```
Dy14YSc
1.0
6.9955 0.9386 0.0000
-0.9385 6.9955 0.0000
0.0000 0.0000 9.9602
Y Dy Sc
1 14 1
Direct
0.3751 0.6249 0.0000
0.6268 0.3732 0.7518
0.1232 0.3732 0.7519
0.1231 0.8769 0.2480
0.6268 0.3732 0.2482
0.8749 0.1251 0.5000
0.3748 0.1249 0.5000
0.6268 0.8768 0.7519
0.8750 0.6248 0.0000
0.8751 0.6252 0.5000
0.3752 0.1250 0.0000
0.6268 0.8768 0.2481
0.3750 0.6250 0.5000
0.1232 0.3732 0.2481
0.1231 0.8769 0.7520
0.8751 0.1249 0.0000
```


(7)
# TlGaPb

Crystalline TlGaPb at its relaxed geometry (PBE, the Alexandria database).

Calculated values
Symmetry: Fmmm
ΔE_f, eV/atom: 0.035
DFT total energy, eV/cell: -18.0
Fermi-level density of states, states/eV/f.u.: 1.261

Structure (POSCAR):
```
TlGaPb
1.0
-5.4464 1.2767 -2.2614
2.8532 -5.2629 -0.7537
-1.0652 0.0548 6.1016
Pb Tl Ga
2 2 2
Direct
0.1561 0.1561 0.3122
0.8439 0.8439 0.6878
0.3426 0.6574 0.0000
0.6574 0.3426 0.0000
0.2500 0.7500 0.5000
0.7500 0.2500 0.5000
```


(8)
# Ag2MoW